**Data**
<<<
Formula: C72H150O38P2S15
Source: OMol25
Level of theory: ωB97M-V/def2-TZVPD

E_HOMO ... -9.6123 eV
LUMO energy ... -0.0037 Ha
Gap between HOMO and LUMO ... 9.5 eV
Electronic energy ... -336003.7397 eV

Structure (ORCA input):
```
! wB97M-V def2-TZVPD RIJCOSX def2/J DEFGRID3
* xyz 0 1
C -9.28750 -1.25111 -0.77650
C -7.91375 -2.01791 -0.76574
C -7.00777 -1.30925 -1.69992
S -7.38472 0.54496 -1.41927
O -7.38593 1.24337 -2.68347
O -6.55887 1.03545 -0.33198
C -9.04434 0.28925 -0.72214
H -9.85693 -1.68606 0.04488
H -9.78907 -1.58642 -1.68430
H -8.10766 -3.08383 -0.88531
H -7.51128 -1.99237 0.24692
H -7.25604 -1.51616 -2.74090
H -5.93826 -1.36133 -1.49614
H -9.69661 0.83738 -1.40199
H -9.06781 0.45148 0.35547
C -0.98617 9.25506 2.47331
C 0.20097 8.53885 1.77456
C 0.16753 7.06476 2.21974
S -0.07313 7.13693 4.05975
O 1.22608 7.37137 4.60658
O -0.91109 5.99216 4.48183
C -0.97859 8.73105 3.90318
H -1.92463 9.11267 1.93747
H -0.78180 10.32572 2.46851
H 1.15385 8.90070 2.16081
H 0.27318 8.60492 0.68896
H 0.96155 6.35066 2.00133
H -0.76638 6.65638 1.83356
H -0.63842 9.34922 4.73400
H -2.02999 8.51217 4.08957
C 0.93561 2.24190 -6.02739
C 0.87239 0.86667 -5.38167
C 2.19247 0.08326 -5.49710
S 3.37378 1.20331 -6.35897
O 4.05060 0.42640 -7.34689
O 4.07752 2.04480 -5.34930
C 2.02333 2.20701 -7.10567
H 1.38102 2.89455 -5.27655
H -0.05990 2.55288 -6.34415
H 0.12689 0.26106 -5.89701
H 0.60514 0.89974 -4.32546
H 1.95968 -0.73317 -6.18073
H 2.73527 -0.25303 -4.61371
H 1.77149 1.76171 -8.06816
H 2.35787 3.20136 -7.40136
C -6.20981 -1.65500 3.92179
C -6.49373 -0.24154 4.26658
C -7.99870 -0.24940 4.55441
S -8.33456 -1.49789 5.82919
O -9.57846 -2.22988 5.69822
O -7.90279 -0.98840 7.10273
C -6.86791 -2.52533 5.12730
H -5.14488 -1.88657 3.90195
H -6.75829 -1.95473 3.02880
H -6.13780 0.37391 3.44037
H -5.97880 -0.09777 5.21646
H -8.50375 -0.54137 3.63366
H -8.37172 0.75681 4.74545
H -7.32029 -3.42943 4.71980
H -6.22127 -2.84844 5.94311
C -0.01893 -3.14221 6.46937
C 0.29563 -3.50628 5.01085
C -0.09173 -2.41268 4.02743
S -1.62139 -1.76802 4.67013
O -2.73947 -2.76310 4.54549
O -1.92334 -0.39347 4.31463
C -1.04971 -1.93908 6.45682
H 0.95283 -2.78345 6.80859
H -0.24309 -3.88791 7.23211
H -0.36326 -4.31936 4.70608
H 1.29976 -3.91277 4.89010
H -0.11519 -2.65409 2.96476
H 0.52097 -1.52020 4.15460
H -1.92127 -2.04621 7.10258
H -0.37019 -1.09301 6.55938
C 5.90333 -4.15507 1.93539
C 4.47774 -4.18119 1.40151
C 4.57797 -3.80912 -0.07179
S 6.10829 -4.61928 -0.76896
O 6.92566 -3.64874 -1.51295
O 5.84891 -5.92738 -1.32104
C 6.83921 -4.84403 0.94561
H 5.95967 -4.65231 2.90373
H 6.24363 -3.13234 2.09764
H 3.93724 -3.40102 1.93750
H 4.02952 -5.16480 1.54187
H 4.78961 -2.74568 0.03963
H 3.71776 -4.00610 -0.71159
H 7.82946 -4.39129 0.89524
H 6.80842 -5.90005 1.21389
C -5.14938 3.15831 3.05287
C -5.90987 4.28725 2.36739
C -5.02751 4.82549 1.32789
S -3.47382 5.01991 2.30804
O -3.46046 6.39347 2.76873
O -2.38038 4.58532 1.47809
C -3.82946 3.73312 3.59231
H -4.90246 2.46939 2.24508
H -5.81335 2.64976 3.75189
H -6.28355 5.07294 3.02401
H -6.87448 3.89377 2.04677
H -5.24793 5.78335 0.85668
H -4.93517 4.11861 0.50334
H -3.87545 4.27943 4.53439
H -2.85909 3.23686 3.60723
C 1.87759 -8.66894 -3.35707
C 3.31346 -8.53286 -3.89733
C 4.07744 -7.44384 -3.05194
S 2.73379 -6.34261 -2.25472
O 2.71137 -4.96518 -2.77386
O 2.72600 -6.52655 -0.81872
C 1.34283 -7.28272 -3.08536
H 1.83094 -9.25965 -2.44220
H 1.16197 -9.16700 -4.01121
H 3.27836 -8.02243 -4.85980
H 3.95589 -9.40672 -4.00578
H 4.67884 -6.70239 -3.57794
H 4.65513 -7.81835 -2.20688
H 1.20554 -6.82937 -4.06706
H 0.50191 -7.11185 -2.41324
C -2.67974 2.61512 -4.11241
C -3.97606 2.29508 -4.81734
C -4.09698 0.75927 -5.08211
S -3.03959 -0.02915 -3.77747
O -1.89080 -0.61054 -4.45163
O -3.80535 -0.90445 -2.89453
C -2.60517 1.57653 -2.97135
H -2.67225 3.61426 -3.67679
H -1.79852 2.51266 -4.74569
H -3.94879 2.80200 -5.78190
H -4.77569 2.63346 -4.15841
H -3.68717 0.46418 -6.04807
H -5.10707 0.38185 -4.92284
H -1.63130 1.44981 -2.49847
>>>

**Assignment**
Your job: say how many lines of the contents earlier on hold the word "Electronic", as a bare number.

**Solution**
1